Mender to rewrite client using C++ and retain Go for its backend

Here is some background to help you better understand the decision to make a strategic development change for the client.

When the idea for Mender was born, we started a challenging discussion about which technologies we should use to build it. After establishing the architecture, the Mender product engineering team began deciding which language would best fit the Mender application development. As such, we had the following non-negotiable requirements for whichever language we would use:

  • Compiled binaries needed to be as small as possible since the client application would run on embedded devices.
  • It needed to work with Yocto, the embedded distribution of Linux.
  • The complexity of installation clients should be low, thereby limiting external dependencies and libraries.
  • The language should compile across different architectures as it would run on various devices.
  • The device that the Mender client application would run on would be an IoT or networked device, so the language needed access to networking libraries.

The non-negotiable requirements for selecting a new language also covered a few non-functional requirements:

  • Within our organization, as many programmers as possible needed to understand the language.
  • It had to be as easy as possible to share and reuse the existing code between existing applications written in C and between the client and server applications.
  • Development speed should be efficient to enable our ability to add new features quickly.

Next to the page, the page also holds calculated crystals =
- - -
(1)
# Sc2CoAs
Theoretical XRD peak list, Cu Kα (weighted mean of Kα1 and Kα2). Input: DFT lattice parameters and positions (GGA-PBE).
No peak broadening, texture or thermal motion is included.

Principal peaks in the range 10° ≤ 2θ ≤ 90°, by intensity:
35.0 deg, I = 1000, hkl 1 1 1; 43.7 deg, I = 883, hkl 1 1 3; 43.1 deg, I = 418, hkl 1 0 4; 46.4 deg, I = 305, hkl 2 0 0; 26.3 deg, I = 259, hkl 0 1 1; 17.8 deg, I = 246, hkl 0 0 2; 50.6 deg, I = 233, hkl 0 2 0; 36.8 deg, I = 219, hkl 0 1 3; 36.1 deg, I = 217, hkl 0 0 4; 68.6 deg, I = 194, hkl 1 2 4

Cell and atoms:
abc: 3.9114 3.6059 9.9441
angles: 90.00 90.00 90.00
Space group Amm2 (No. 38)
One atom of each set of equivalent atoms:
Sc 0.0000 0.0000 0.0000 (multiplicity 2)
Sc 0.5000 0.0000 0.2865 (multiplicity 2)
Co 0.0000 0.0000 0.7275 (multiplicity 2)
As 0.5000 0.0000 0.5712 (multiplicity 2)

***

(2)
# Co3AsSe
Theoretical XRD peak list, Cu Kα (weighted mean of Kα1 and Kα2). Input: DFT lattice parameters and positions (GGA-PBE).
No peak broadening, texture or thermal motion is included.

Principal peaks in the range 10° ≤ 2θ ≤ 90°, by intensity:
41.7 deg, I = 1000, hkl 2 0 0; 60.5 deg, I = 631, hkl 2 2 0; 35.9 deg, I = 592, hkl 1 1 1; 29.2 deg, I = 409, hkl 1 1 0; 20.5 deg, I = 235, hkl 1 0 0; 76.1 deg, I = 207, hkl 2 2 2; 72.4 deg, I = 195, hkl 3 1 1; 51.7 deg, I = 167, hkl 2 1 1; 46.9 deg, I = 97, hkl 2 1 0; 83.5 deg, I = 90, hkl 3 2 1

Cell and atoms:
abc: 4.3306 4.3306 4.3306
angles: 90.00 90.00 90.00
Space group Pm-3m (No. 221)
One atom of each set of equivalent atoms:
Co 0.0000 0.0000 0.5000 (multiplicity 3)
As 0.5000 0.5000 0.5000 (multiplicity 1)
Se 0.0000 0.0000 0.0000 (multiplicity 1)

***

(3)
# CoAsSe
Theoretical XRD peak list, Cu Kα (weighted mean of Kα1 and Kα2). Input: DFT lattice parameters and positions (GGA-PBE).
No peak broadening, texture or thermal motion is included.

Principal peaks in the range 10° ≤ 2θ ≤ 90°, by intensity:
34.8 deg, I = 1000, hkl 2 1 0; 38.2 deg, I = 781, hkl 2 1 1; 52.7 deg, I = 661, hkl 3 1 1; 60.0 deg, I = 408, hkl 3 2 1; 57.7 deg, I = 242, hkl 3 0 2; 31.0 deg, I = 239, hkl 2 0 0; 75.6 deg, I = 204, hkl 4 2 1; 88.0 deg, I = 201, hkl 5 1 1; 44.4 deg, I = 156, hkl 2 2 0; 77.7 deg, I = 96, hkl 3 3 2

Cell and atoms:
abc: 5.7649 5.7649 5.7649
angles: 90.00 90.00 90.00
Space group P2_13 (No. 198)
One atom of each set of equivalent atoms:
Co 0.0018 0.4982 0.5018 (multiplicity 4)
As 0.1241 0.6241 0.8759 (multiplicity 4)
Se 0.1233 0.8767 0.3767 (multiplicity 4)

***

(4)
# UCo7Sn2As2
Theoretical XRD peak list, Cu Kα (weighted mean of Kα1 and Kα2). Input: DFT lattice parameters and positions (GGA-PBE).
No peak broadening, texture or thermal motion is included.

Principal peaks in the range 10° ≤ 2θ ≤ 90°, by intensity:
- - -
End of the calculated crystals =

As with many other decisions in the company, we wanted this one to be data-driven and based on facts, not opinions. We began a thorough evaluation of various options, eventually narrowing it down to three possibilities: C, C++, and Go. We tested and compared application binary sizes, resource consumption, performance, development speed, and other parameters. Eventually, we decided to go with Go! Our complete evaluation process is described in this blog article we published with StackOverflow: Comparing Go vs. C in embedded applications - Stack Overflow Blog

Time for change

With the benefit of hindsight, we think the decision we made back then was the right one, and we are delighted with our Mender client. But the time has come to make a new decision to rewrite it in another language.

There are usually many reasons to decide to rewrite applications using a different technology. Often those are related to poor code quality and a lot of legacies, making it hard to keep the quality of the application high while efficiently adding new features. It might be related to the code’s reliability and usability or the number of bugs discovered during testing and production. Sometimes, the application performance might decline with the increased complexity, outdated technology, or security requirements. And lastly, in the delivery process, the development team might gain a deeper understanding of the product’s business domain. It can suggest a better implementation through a more efficient model.

In our case, we’ve always tried to develop our code with the best maintainability and quality and a deep focus on security; the decision to rewrite the Mender client is not related to any of the above and is purely strategic. The main reason is to expand the number of platforms our Mender client can support to increase compatibility with platforms aimed at the embedded market. These include the common RTOS platforms: QNX, Zephyr, FreeRTOS, and VxWorks.

(Calculated crystals, as found in the file)
- - -
Theoretical powder diffractogram of BaLaTcN3 for CuKα, from the GGA-PBE geometry in Alexandria.
Lines closer than 0.1° are merged.

Structure:
Lattice parameters (Å, degrees): 6.2826 6.2826 7.1554 90.00 90.00 120.00
Space group P6_3/mmc (No. 194)
Symmetry-distinct sites (fractional):
Ba  0.3333  0.6667  0.2500 x2
La  0.0000  0.0000  0.0000 x2
Tc  0.3333  0.6667  0.7500 x2
N  0.1643  0.3286  0.7500 x6

Most intense lines, 2θ = 15–90°, by intensity:
2θ 28.41, I 100, hkl 1 1 0; 2θ 29.89, I 84, hkl 1 0 2; 2θ 41.71, I 41, hkl 2 0 2; 2θ 51.24, I 38, hkl 2 1 2; 2θ 59.46, I 25, hkl 1 1 4; 2θ 50.31, I 21, hkl 3 0 0

Theoretical powder diffractogram of BaLa2VN4 for CuKα, from the GGA-PBE geometry in Alexandria.
Lines closer than 0.1° are merged.

Structure:
Lattice parameters (Å, degrees): 3.589 12.833 12.488 90.00 90.00 90.00
Space group Cmcm (No. 63)
Symmetry-distinct sites (fractional):
Ba  0.000  0.090  0.250 x4
La  0.000  0.370  0.041 x8
V  0.000  0.180  0.750 x4
N  0.000  0.000  0.000 x4
N  0.000  0.259  0.632 x8
N  0.000  0.390  0.250 x4

Most intense lines, 2θ = 15–90°, by intensity:
2θ 29.54, I 100, hkl 1 1 2; 2θ 25.51, I 65, hkl 0 2 3; 2θ 35.68, I 54, hkl 1 3 2; 2θ 33.37, I 48, hkl 1 3 1; 2θ 27.81, I 45, hkl 0 4 0; 2θ 28.59, I 39, hkl 0 0 4

Theoretical powder diffractogram of Ba2NaLaTi4O12 for CuKα, from the GGA-PBE geometry in Alexandria.
Lines closer than 0.1° are merged.

Structure:
Lattice parameters (Å, degrees): 5.621 5.621 15.861 90.00 90.00 90.00
Space group I4/mmm (No. 139)
Symmetry-distinct sites (fractional):
Ba  0.000  0.000  0.247 x4
Na  0.000  0.000  0.000 x2
La  0.000  0.000  0.500 x2
Ti  0.000  0.500  0.121 x8
O  0.000  0.500  0.000 x4
O  0.000  0.500  0.250 x4
O  0.244  0.244  0.381 x16

Most intense lines, 2θ = 15–90°, by intensity:
2θ 31.87, I 100, hkl 2 0 0; 2θ 56.78, I 38, hkl 2 0 8; 2θ 45.65, I 25, hkl 2 2 0; 2θ 39.29, I 23, hkl 2 0 4; 2θ 66.60, I 22, hkl 4 0 0; 2θ 16.73, I 13, hkl 1 0 1

Theoretical powder diffractogram of BaNaLa2Se4 for CuKα, from the GGA-PBE geometry in Alexandria.
Lines closer than 0.1° are merged.

Structure:
Lattice parameters (Å, degrees): 8.862 8.896 12.550 90.00 90.00 90.00
Space group Imma (No. 74)
Symmetry-distinct sites (fractional):
Ba  0.250  0.250  0.250 x4
Na  0.000  0.000  0.000 x4
La  0.000  0.000  0.500 x4
La  0.250  0.250  0.750 x4
Se  0.000  0.017  0.746 x8
Se  0.240  0.250  0.509 x8

Most intense lines, 2θ = 15–90°, by intensity:
2θ 28.44, I 100, hkl 2 2 0; 2θ 40.64, I 62, hkl 2 2 4; 2θ 66.64, I 22, hkl 4 4 4; 2θ 50.43, I 13, hkl 4 0 4; 2θ 50.29, I 13, hkl 0 4 4; 2θ 40.73, I 12, hkl 4 0 0

Theoretical powder diffractogram of Ba4La2Ti3Nb2O18 for CuKα, from the GGA-PBE geometry in Alexandria.
Lines closer than 0.1° are merged.

Structure:
Lattice parameters (Å, degrees): 5.7269 5.7269 42.0413 90.00 90.00 120.00
Space group R-3m (No. 166, hexagonal axes)
Symmetry-distinct sites (fractional):
Ba  0.0000  0.0000  0.1397 x6
Ba  0.0000  0.0000  0.3118 x6
La  0.0000  0.0000  0.4145 x6
- - -

Please note: Our server will remain developed in Go; This change only affects the Mender client (not the server or add-ons such as Remote Terminal or Configure). What does our decision to use C++ and the rewrite mean for you as a user or contributor? We’ve prepared a Q&A section to answer your questions, but feel free to contact us if you have any additional questions. We will be happy to answer any of those as well.